Job.
Please print the notes underneath with every line break kept.

Listing.
No. 1
C5H7NO | ωB97M-V/def2-TZVPD

Computed properties:
Net charge: 0
E_HOMO in eV: -9.05
2S+1: 1

Geometry (Å):
1 O -1.168047 -0.883694 1.812328
2 C -0.737250 -1.515430 0.868554
3 C 0.503692 -1.086458 0.094697
4 C 0.928837 0.132642 -0.861936
5 C -0.319843 0.950332 -1.017760
6 C -0.089900 1.137371 0.502815
7 N 1.074863 0.153106 0.578263
8 H -1.199316 -2.495952 0.656102
9 H 1.100302 -1.952653 -0.156510
10 H 1.848983 0.434044 -1.396012
11 H -1.167427 0.335878 -1.339894
12 H -0.246956 1.836085 -1.653052
13 H -0.868818 0.849208 1.186994
14 H 0.340881 2.105520 0.725413

Forces on atoms 1 to 6 (eV/Å):
0.2 -1.1 -0.4
-0.3 0.5 -0.2
0.3 0.5 -0.7
-0.2 -0.8 -0.4
0.0 0.2 0.2
-0.4 0.5 0.6

Atom charges from the Mulliken analysis, given in e for atoms 1 to 5:
1 O -0.49
2 C -0.18
3 C 0.05
4 C -0.11
5 C -0.58

No. 2
C5H7NO | ωB97M-V/def2-TZVPD

Computed properties:
Net charge: 0
E_HOMO in eV: -9.40
2S+1: 1

Geometry (Å):
1 O 2.054906 -0.716480 -0.958498
2 C 1.254384 -0.586236 -0.061088
3 C 0.253498 0.527743 -0.057001
4 C -1.223238 0.291103 0.010986
5 C -1.563457 -0.864484 0.916671
6 C -0.847285 -0.283092 1.881136
7 N -0.512994 0.937567 1.139596
8 H 1.743869 0.763128 -2.773100
9 H 1.237122 -1.285779 0.793057
10 H 0.556287 1.374407 -0.670867
11 H -1.905329 0.867635 -0.607276
12 H 1.567489 1.276381 -3.284087
13 H -2.124394 -1.781346 0.792796
14 H -0.490859 -0.520553 2.877680

Forces on atoms 1 to 6 (eV/Å):
-0.3 0.0 0.4
0.2 -0.1 -0.2
0.2 0.0 -0.2
-0.2 0.1 -0.3
0.1 0.0 0.1
-0.1 -0.2 0.1

Atom charges from the Mulliken analysis, given in e for atoms 1 to 5:
1 O -0.44
2 C -0.12
3 C 0.19
4 C -0.12
5 C -0.26

The records above yield Kohn-Sham gap values of 9.542, 10.154 eV, respectively.
The records above yield ΔE to the lowest compared entry with this formula, charge and spin values of 98.1, 110.2 kcal/mol, respectively.

----------

Entry from the Open Molecules 2025 dataset: a 13-piece molecular cluster, C45H78O39 overall (ωB97M-V/def2-TZVPD).

**Energy relative to the best compared isomer or geometry (same formula, charge and spin)**: 0.00 kcal per mole
**LUMO energy**: 0.0049 Ha
**Kohn-Sham gap**: 0.3892 hartree

Last columns: bonded neighbours and bond lengths (Å).
Element x y z (Å)
1 H 4.9562 4.8350 2.4713  C138 1.083
2 O 0.1340 1.2139 -5.4558  C32 1.443, C49 1.352
3 H -3.2552 3.6739 6.3415  C75 1.092
4 H -0.1704 -2.7121 5.9146  C74 1.092
5 C 0.3584 5.1745 2.3991  H105 1.087, O117 1.430, H122 1.079, H134 1.094
6 C 0.2283 0.6086 1.0898  C25 1.500, O101 1.444, C130 1.553, H151 1.090
7 C -0.2262 2.6411 -3.6618  O9 1.439, C32 1.532, H72 1.096, H89 1.086
8 H -2.7621 -0.0665 -4.4541  C50 1.085
9 O -1.3001 2.6743 -4.6194  C7 1.439, C49 1.357
10 O -6.8686 0.2846 2.5795  C43 1.200
11 C 7.1843 1.4625 -2.6836  O58 1.184, O70 1.320, O147 1.338
12 H 2.6892 0.9607 -4.5919  C53 1.088
13 H -0.8358 -0.4571 2.6538  C25 1.098
14 H 2.5461 2.3487 -3.4529  C53 1.092
15 H -8.1719 -2.8040 4.2944  C38 1.089
16 O -1.6295 0.1118 5.2825  C126 1.189
17 H -3.9475 -7.6348 -1.5641  C146 1.088
18 O 2.2591 -3.4956 -3.3685  C41 1.349, C160 1.428
19 O -1.8645 2.3321 5.5789  C75 1.441, C126 1.343
20 H -0.8340 -3.3134 -8.3121  C42 1.090
21 H 4.6694 1.4540 -3.4899  C69 1.096
22 H -2.9564 -2.0684 -0.7132  C65 1.092
23 C 0.2800 -5.6445 0.5037  O40 1.189, O51 1.324, O127 1.321
24 H 1.2265 -8.0963 1.4802  C116 1.094
25 C 0.1872 -0.2787 2.2981  C6 1.500, H13 1.098, H77 1.091, H161 1.092
26 H 1.1636 -2.9589 -0.1152  C120 1.093
27 O 3.4484 -3.9372 2.1136  C110 1.180
28 H 1.1109 5.5257 -1.0753  C67 1.091
29 O -4.6642 -5.3769 -1.3047  C63 1.201
30 H 9.0492 2.3244 -0.1754  C66 1.089
31 C -2.6144 -2.0204 -6.3344  O46 1.338, O113 1.329, O133 1.191
32 C 0.6660 1.4924 -4.1431  O2 1.443, C7 1.532, C53 1.518, H139 1.087
33 H 0.7004 -4.1826 -4.5854  C160 1.091
34 H -5.7024 3.5911 5.0262  C142 1.094
35 H -6.1022 2.0664 4.2450  C142 1.088
36 O 3.1226 -1.8196 -2.1633  C41 1.183
37 C -4.4311 -0.0279 1.5600  H59 1.090, H88 1.089, O106 1.414, H158 1.091

Result.
No. 1
C5H7NO | ωB97M-V/def2-TZVPD

Computed properties:
Net charge: 0
E_HOMO in eV: -9.05
2S+1: 1

Geometry (Å):
1 O -1.168047 -0.883694 1.812328
2 C -0.737250 -1.515430 0.868554
3 C 0.503692 -1.086458 0.094697
4 C 0.928837 0.132642 -0.861936
5 C -0.319843 0.950332 -1.017760
6 C -0.089900 1.137371 0.502815
7 N 1.074863 0.153106 0.578263
8 H -1.199316 -2.495952 0.656102
9 H 1.100302 -1.952653 -0.156510
10 H 1.848983 0.434044 -1.396012
11 H -1.167427 0.335878 -1.339894
12 H -0.246956 1.836085 -1.653052
13 H -0.868818 0.849208 1.186994
14 H 0.340881 2.105520 0.725413

Forces on atoms 1 to 6 (eV/Å):
0.2 -1.1 -0.4
-0.3 0.5 -0.2
0.3 0.5 -0.7
-0.2 -0.8 -0.4
0.0 0.2 0.2
-0.4 0.5 0.6

Atom charges from the Mulliken analysis, given in e for atoms 1 to 5:
1 O -0.49
2 C -0.18
3 C 0.05
4 C -0.11
5 C -0.58

No. 2
C5H7NO | ωB97M-V/def2-TZVPD

Computed properties:
Net charge: 0
E_HOMO in eV: -9.40
2S+1: 1

Geometry (Å):
1 O 2.054906 -0.716480 -0.958498
2 C 1.254384 -0.586236 -0.061088
3 C 0.253498 0.527743 -0.057001
4 C -1.223238 0.291103 0.010986
5 C -1.563457 -0.864484 0.916671
6 C -0.847285 -0.283092 1.881136
7 N -0.512994 0.937567 1.139596
8 H 1.743869 0.763128 -2.773100
9 H 1.237122 -1.285779 0.793057
10 H 0.556287 1.374407 -0.670867
11 H -1.905329 0.867635 -0.607276
12 H 1.567489 1.276381 -3.284087
13 H -2.124394 -1.781346 0.792796
14 H -0.490859 -0.520553 2.877680

Forces on atoms 1 to 6 (eV/Å):
-0.3 0.0 0.4
0.2 -0.1 -0.2
0.2 0.0 -0.2
-0.2 0.1 -0.3
0.1 0.0 0.1
-0.1 -0.2 0.1

Atom charges from the Mulliken analysis, given in e for atoms 1 to 5:
1 O -0.44
2 C -0.12
3 C 0.19
4 C -0.12
5 C -0.26

The records above yield Kohn-Sham gap values of 9.542, 10.154 eV, respectively.
The records above yield ΔE to the lowest compared entry with this formula, charge and spin values of 98.1, 110.2 kcal/mol, respectively.

----------

Entry from the Open Molecules 2025 dataset: a 13-piece molecular cluster, C45H78O39 overall (ωB97M-V/def2-TZVPD).

**Energy relative to the best compared isomer or geometry (same formula, charge and spin)**: 0.00 kcal per mole
**LUMO energy**: 0.0049 Ha
**Kohn-Sham gap**: 0.3892 hartree

Last columns: bonded neighbours and bond lengths (Å).
Element x y z (Å)
1 H 4.9562 4.8350 2.4713  C138 1.083
2 O 0.1340 1.2139 -5.4558  C32 1.443, C49 1.352
3 H -3.2552 3.6739 6.3415  C75 1.092
4 H -0.1704 -2.7121 5.9146  C74 1.092
5 C 0.3584 5.1745 2.3991  H105 1.087, O117 1.430, H122 1.079, H134 1.094
6 C 0.2283 0.6086 1.0898  C25 1.500, O101 1.444, C130 1.553, H151 1.090
7 C -0.2262 2.6411 -3.6618  O9 1.439, C32 1.532, H72 1.096, H89 1.086
8 H -2.7621 -0.0665 -4.4541  C50 1.085
9 O -1.3001 2.6743 -4.6194  C7 1.439, C49 1.357
10 O -6.8686 0.2846 2.5795  C43 1.200
11 C 7.1843 1.4625 -2.6836  O58 1.184, O70 1.320, O147 1.338
12 H 2.6892 0.9607 -4.5919  C53 1.088
13 H -0.8358 -0.4571 2.6538  C25 1.098
14 H 2.5461 2.3487 -3.4529  C53 1.092
15 H -8.1719 -2.8040 4.2944  C38 1.089
16 O -1.6295 0.1118 5.2825  C126 1.189
17 H -3.9475 -7.6348 -1.5641  C146 1.088
18 O 2.2591 -3.4956 -3.3685  C41 1.349, C160 1.428
19 O -1.8645 2.3321 5.5789  C75 1.441, C126 1.343
20 H -0.8340 -3.3134 -8.3121  C42 1.090
21 H 4.6694 1.4540 -3.4899  C69 1.096
22 H -2.9564 -2.0684 -0.7132  C65 1.092
23 C 0.2800 -5.6445 0.5037  O40 1.189, O51 1.324, O127 1.321
24 H 1.2265 -8.0963 1.4802  C116 1.094
25 C 0.1872 -0.2787 2.2981  C6 1.500, H13 1.098, H77 1.091, H161 1.092
26 H 1.1636 -2.9589 -0.1152  C120 1.093
27 O 3.4484 -3.9372 2.1136  C110 1.180
28 H 1.1109 5.5257 -1.0753  C67 1.091
29 O -4.6642 -5.3769 -1.3047  C63 1.201
30 H 9.0492 2.3244 -0.1754  C66 1.089
31 C -2.6144 -2.0204 -6.3344  O46 1.338, O113 1.329, O133 1.191
32 C 0.6660 1.4924 -4.1431  O2 1.443, C7 1.532, C53 1.518, H139 1.087
33 H 0.7004 -4.1826 -4.5854  C160 1.091
34 H -5.7024 3.5911 5.0262  C142 1.094
35 H -6.1022 2.0664 4.2450  C142 1.088
36 O 3.1226 -1.8196 -2.1633  C41 1.183
37 C -4.4311 -0.0279 1.5600  H59 1.090, H88 1.089, O106 1.414, H158 1.091